Listing:
/*
DFT (the ωB97M-V functional and the def2-TZVPD basis) results for C89H210N12O32 as an isolated structure at a distorted geometry.

E: -179051.11656 eV
charge: +4
max |F|: 9.7 eV/A

Structure (XYZ):
```
343
Properties=species:S:1:pos:R:3:forces:R:3
C -6.321978 0.150264 -2.587489 1.8848 -0.4665 -0.0667
N -5.832998 0.524654 -3.986729 0.3774 0.9251 1.3437
C -6.886048 1.504604 -4.503709 0.8035 -0.5049 0.4573
C -4.425028 1.218184 -3.888109 -0.7094 0.1273 -0.6883
C -5.787858 -0.796886 -4.792059 -0.7438 1.0714 0.7249
C -4.994228 -0.834306 -6.077089 0.1542 -1.5259 -0.3942
O -3.625718 -0.968446 -5.950599 1.4368 1.6188 0.2510
H -7.187658 -0.503696 -2.692509 -0.1322 0.4984 0.2500
H -6.348728 0.983414 -1.885179 -1.0084 0.6033 -0.7719
H -5.521838 -0.382266 -2.073389 0.1835 -0.7951 -0.5585
H -6.587358 1.697564 -5.534069 -0.6974 0.3729 0.1081
H -6.945318 2.371954 -3.846219 0.9495 0.3523 -0.3633
H -7.879588 1.109064 -4.292719 0.0738 -0.6881 -0.9116
H -3.621838 0.506534 -3.696969 -0.4911 -0.2716 0.5292
H -4.497458 2.073034 -3.215729 -0.0544 -0.3715 0.3886
H -4.123338 1.692084 -4.822189 -0.5717 -0.1965 -0.3850
H -6.841728 -0.964876 -5.013929 -0.0414 -0.1953 -0.1131
H -5.476528 -1.512306 -4.030919 0.4342 -0.2424 -0.4554
H -5.217628 -0.059746 -6.810749 -0.0770 0.2406 0.2984
H -5.242678 -1.790076 -6.538499 -1.2214 0.0171 -0.2124
H -3.390728 -1.804126 -5.540699 -0.0843 -0.6851 0.5580
C -0.227258 -2.456056 -5.888589 -0.4000 -1.2027 0.7128
N 0.662662 -3.561856 -5.303759 1.5326 1.7333 -0.7746
C 1.712272 -2.751866 -4.399929 -1.1654 -0.9316 -0.3501
C -0.012688 -4.584996 -4.451949 -0.1406 0.4489 1.2194
C 1.494362 -4.292276 -6.400369 -0.7700 -0.7424 1.2317
C 0.675142 -4.779756 -7.607389 -1.7392 0.1662 0.5742
O -0.403398 -5.706156 -7.258489 1.0556 0.4379 0.3539
H -1.224908 -2.873726 -6.024029 0.1776 -0.1265 -0.7362
H 0.283832 -2.075336 -6.772859 -0.3874 0.0355 0.0844
H -0.418378 -1.684666 -5.142579 0.4771 0.0214 0.0095
H 1.103282 -2.088026 -3.786279 -0.0856 -0.7543 0.6441
H 2.351212 -2.028036 -4.905809 -0.0144 -0.6407 -0.9769
H 2.336162 -3.513066 -3.931499 -0.1464 0.3636 0.3462
H -0.398128 -4.036046 -3.592769 -0.1141 -0.2946 0.0541
H 0.732972 -5.298586 -4.101399 0.2694 0.3345 0.1684
H -0.807638 -5.194886 -4.881119 0.0300 0.8232 -0.7395
H 1.775062 -5.177716 -5.830019 0.5576 -0.0803 -0.2729
H 2.403852 -3.700946 -6.506489 -0.1582 -0.0467 -0.7427
H 1.273982 -5.233206 -8.397249 0.2765 0.3896 0.1182
H 0.019882 -3.984716 -7.963269 0.7516 0.3219 -0.6119
H -0.016058 -6.507206 -6.898089 0.0979 -0.3095 -0.0668
C -5.718138 -7.216386 1.065071 -2.0904 2.0267 0.8860
N -6.835998 -6.090336 1.404771 -1.1988 -0.6435 -2.1812
C -7.464148 -5.422926 0.149291 1.0900 -0.7175 0.6315
C -8.066998 -6.637476 2.162931 1.9753 0.6112 0.3609
C -6.234138 -4.982176 2.277281 -0.5060 -0.3766 -0.9112
C -5.225918 -4.058906 1.590261 -0.7381 0.3299 0.0413
O -4.021398 -4.658746 1.446321 1.6199 -0.3869 -1.2486
H -6.153978 -8.159036 0.734061 -0.4670 0.2644 0.2321
H -5.295808 -7.269176 2.068541 0.9151 -0.4899 -0.5416
H -5.133458 -6.776066 0.257371 0.3399 0.0513 0.6006
H -6.647938 -5.073326 -0.482909 -0.2161 0.3945 0.1760
H -8.118348 -4.656796 0.565401 0.2317 0.2109 -0.4520
H -8.051338 -6.107696 -0.462599 0.0210 -0.3397 0.4712
H -8.570248 -7.460176 1.654991 0.3476 0.0983 0.0150
H -8.713018 -5.769636 2.295711 -0.1637 -0.3238 0.0297
H -7.596378 -6.882586 3.115051 -0.7592 -0.5526 0.2068
H -5.731668 -5.501296 3.093451 0.0591 0.2108 0.2117
H -7.109408 -4.438436 2.632731 0.1392 0.1034 0.1491
H -5.236648 -3.137246 2.172091 0.3065 0.1648 0.5857
H -5.401538 -3.691566 0.579161 -1.0841 -0.2051 -0.0871
H -3.609398 -4.928786 2.270291 0.3747 -0.5748 1.5147
C 8.671102 -1.024186 -2.547989 -0.7051 -0.3569 1.0287
N 7.979792 -0.984246 -1.186909 -1.1972 1.4959 1.3109
C 8.901802 -0.142276 -0.209959 -0.6389 -1.3824 -1.0949
C 6.596122 -0.233906 -1.285339 1.5154 -0.5572 -0.6270
C 7.771852 -2.386956 -0.630349 -0.5374 -1.3785 -0.7979
C 6.746232 -2.616466 0.484301 1.3474 0.9903 -1.1982
*/
Job:
Return the lines further up from the one with "-179051.11656 eV" to the one with "3.115051 -0.7592" without additions.
Done:
E: -179051.11656 eV
charge: +4
max |F|: 9.7 eV/A

Structure (XYZ):
```
343
Properties=species:S:1:pos:R:3:forces:R:3
C -6.321978 0.150264 -2.587489 1.8848 -0.4665 -0.0667
N -5.832998 0.524654 -3.986729 0.3774 0.9251 1.3437
C -6.886048 1.504604 -4.503709 0.8035 -0.5049 0.4573
C -4.425028 1.218184 -3.888109 -0.7094 0.1273 -0.6883
C -5.787858 -0.796886 -4.792059 -0.7438 1.0714 0.7249
C -4.994228 -0.834306 -6.077089 0.1542 -1.5259 -0.3942
O -3.625718 -0.968446 -5.950599 1.4368 1.6188 0.2510
H -7.187658 -0.503696 -2.692509 -0.1322 0.4984 0.2500
H -6.348728 0.983414 -1.885179 -1.0084 0.6033 -0.7719
H -5.521838 -0.382266 -2.073389 0.1835 -0.7951 -0.5585
H -6.587358 1.697564 -5.534069 -0.6974 0.3729 0.1081
H -6.945318 2.371954 -3.846219 0.9495 0.3523 -0.3633
H -7.879588 1.109064 -4.292719 0.0738 -0.6881 -0.9116
H -3.621838 0.506534 -3.696969 -0.4911 -0.2716 0.5292
H -4.497458 2.073034 -3.215729 -0.0544 -0.3715 0.3886
H -4.123338 1.692084 -4.822189 -0.5717 -0.1965 -0.3850
H -6.841728 -0.964876 -5.013929 -0.0414 -0.1953 -0.1131
H -5.476528 -1.512306 -4.030919 0.4342 -0.2424 -0.4554
H -5.217628 -0.059746 -6.810749 -0.0770 0.2406 0.2984
H -5.242678 -1.790076 -6.538499 -1.2214 0.0171 -0.2124
H -3.390728 -1.804126 -5.540699 -0.0843 -0.6851 0.5580
C -0.227258 -2.456056 -5.888589 -0.4000 -1.2027 0.7128
N 0.662662 -3.561856 -5.303759 1.5326 1.7333 -0.7746
C 1.712272 -2.751866 -4.399929 -1.1654 -0.9316 -0.3501
C -0.012688 -4.584996 -4.451949 -0.1406 0.4489 1.2194
C 1.494362 -4.292276 -6.400369 -0.7700 -0.7424 1.2317
C 0.675142 -4.779756 -7.607389 -1.7392 0.1662 0.5742
O -0.403398 -5.706156 -7.258489 1.0556 0.4379 0.3539
H -1.224908 -2.873726 -6.024029 0.1776 -0.1265 -0.7362
H 0.283832 -2.075336 -6.772859 -0.3874 0.0355 0.0844
H -0.418378 -1.684666 -5.142579 0.4771 0.0214 0.0095
H 1.103282 -2.088026 -3.786279 -0.0856 -0.7543 0.6441
H 2.351212 -2.028036 -4.905809 -0.0144 -0.6407 -0.9769
H 2.336162 -3.513066 -3.931499 -0.1464 0.3636 0.3462
H -0.398128 -4.036046 -3.592769 -0.1141 -0.2946 0.0541
H 0.732972 -5.298586 -4.101399 0.2694 0.3345 0.1684
H -0.807638 -5.194886 -4.881119 0.0300 0.8232 -0.7395
H 1.775062 -5.177716 -5.830019 0.5576 -0.0803 -0.2729
H 2.403852 -3.700946 -6.506489 -0.1582 -0.0467 -0.7427
H 1.273982 -5.233206 -8.397249 0.2765 0.3896 0.1182
H 0.019882 -3.984716 -7.963269 0.7516 0.3219 -0.6119
H -0.016058 -6.507206 -6.898089 0.0979 -0.3095 -0.0668
C -5.718138 -7.216386 1.065071 -2.0904 2.0267 0.8860
N -6.835998 -6.090336 1.404771 -1.1988 -0.6435 -2.1812
C -7.464148 -5.422926 0.149291 1.0900 -0.7175 0.6315
C -8.066998 -6.637476 2.162931 1.9753 0.6112 0.3609
C -6.234138 -4.982176 2.277281 -0.5060 -0.3766 -0.9112
C -5.225918 -4.058906 1.590261 -0.7381 0.3299 0.0413
O -4.021398 -4.658746 1.446321 1.6199 -0.3869 -1.2486
H -6.153978 -8.159036 0.734061 -0.4670 0.2644 0.2321
H -5.295808 -7.269176 2.068541 0.9151 -0.4899 -0.5416
H -5.133458 -6.776066 0.257371 0.3399 0.0513 0.6006
H -6.647938 -5.073326 -0.482909 -0.2161 0.3945 0.1760
H -8.118348 -4.656796 0.565401 0.2317 0.2109 -0.4520
H -8.051338 -6.107696 -0.462599 0.0210 -0.3397 0.4712
H -8.570248 -7.460176 1.654991 0.3476 0.0983 0.0150
H -8.713018 -5.769636 2.295711 -0.1637 -0.3238 0.0297
H -7.596378 -6.882586 3.115051 -0.7592 -0.5526 0.2068